Work order.
Next, say how many lines of the entries below hold the word "Density", as a bare number.
Listing.
+++
Arrangement P

Density functional theory data (GGA-PBE) for an optimized crystal structure of NdDy4In.

```
12
Lattice="2.438 -7.435 0.000 2.438 7.435 0.000 0.000 0.000 9.941" Properties=species:S:1:pos:R:3 pbc="T T T"
Nd 2.438 4.933 4.970
Nd 2.438 -4.933 0.000
Dy 2.438 7.359 7.533
Dy 2.438 4.959 0.136
Dy 2.438 2.584 7.532
Dy 2.438 0.027 5.043
Dy 2.438 -0.027 0.072
Dy 2.438 -2.584 2.562
Dy 2.438 -4.959 5.107
Dy 2.438 -7.359 2.563
In 2.438 2.439 2.572
In 2.438 -2.439 7.542
```

Output
* theoretical density: 8.4 g cm⁻³

Arrangement Q

Density functional theory data (GGA-PBE) for an optimized crystal structure of NdDy4In.

```
6
Lattice="3.592 0.000 0.000 0.000 3.592 0.000 0.000 0.000 14.304" Properties=species:S:1:pos:R:3 pbc="T T T"
Nd 0.000 0.000 0.000
Dy 0.000 0.000 5.065
Dy 0.000 0.000 9.238
Dy 1.796 1.796 2.565
Dy 1.796 1.796 11.738
In 1.796 1.796 7.152
```

Output
* theoretical density: 8.2 g cm⁻³

Most stable: arrangement Q. Least stable: arrangement P.

Arrangement P

Density functional theory data (GGA-PBE) for an optimized crystal structure of Nd3Dy6In.

```
20
Lattice="9.745 0.000 0.000 0.000 5.623 0.000 -4.391 0.000 11.671" Properties=species:S:1:pos:R:3 pbc="T T T"
Nd -1.417 1.406 4.397
Nd 0.018 4.217 2.600
Nd -1.641 1.406 11.383
Nd 6.995 4.217 0.287
Nd 5.336 1.406 9.070
Nd 6.771 4.217 7.274
Dy -3.701 4.217 10.842
Dy -0.996 1.406 7.850
Dy 0.359 4.217 6.008
Dy 2.073 1.406 3.524
Dy -0.216 4.217 9.651
Dy 3.546 4.217 1.612
Dy 1.807 1.406 10.058
Dy 5.570 1.406 2.019
Dy 3.280 4.217 8.147
Dy 4.995 1.406 5.663
Dy 6.350 4.217 3.821
Dy 9.055 1.406 0.829
In 1.999 1.406 6.839
In 3.355 4.217 4.832
```

Output
* theoretical density: 7.9 g cm⁻³

Arrangement Q

Density functional theory data (GGA-PBE) for an optimized crystal structure of Nd3Dy6In.

```
20
Lattice="13.001 0.000 0.000 0.000 3.570 0.000 -4.689 0.000 13.800" Properties=species:S:1:pos:R:3 pbc="T T T"
Nd -1.732 0.892 5.460
Nd 0.218 0.892 13.800
Nd 3.282 0.892 8.165
Nd 5.031 2.677 5.636
Nd 8.095 2.677 0.001
Nd 10.045 2.677 8.340
Dy 1.644 2.677 0.320
Dy -1.948 0.892 11.187
Dy 0.016 0.892 8.269
Dy 1.410 2.677 5.380
Dy 3.297 0.892 3.004
Dy 1.285 2.677 10.897
Dy 7.028 0.892 2.904
Dy 5.016 2.677 10.796
Dy 6.903 0.892 8.420
Dy 8.297 2.677 5.531
Dy 10.260 2.677 2.613
Dy 6.669 0.892 13.480
In 0.096 0.892 2.669
In 8.217 2.677 11.131
```

Output
* theoretical density: 7.9 g cm⁻³

Most stable: arrangement P. Least stable: arrangement Q.

Arrangement P

Density functional theory data (GGA-PBE) for an optimized crystal structure of Nd5Dy2In.

```
8
Lattice="-2.505 2.505 10.288 2.505 -2.505 10.288 2.505 2.505 -10.288" Properties=species:S:1:pos:R:3 pbc="T T T"
Nd 0.000 0.000 0.000
Nd 2.505 0.000 2.530
Nd 2.505 0.000 7.758
Nd 0.000 2.505 2.530
Nd 0.000 2.505 7.758
Dy 0.000 0.000 5.113
Dy 0.000 0.000 15.463
In 0.000 0.000 10.288
```

Output
* theoretical density: 7.5 g cm⁻³

Arrangement Q

Density functional theory data (GGA-PBE) for an optimized crystal structure of Nd5Dy2In.

```
8
Lattice="-3.781 3.781 4.473 3.781 -3.781 4.473 3.781 3.781 -4.473" Properties=species:S:1:pos:R:3 pbc="T T T"
Nd 0.000 0.000 0.000
Nd 2.060 2.060 -1.778
Nd 1.720 -1.720 2.695
Nd -1.720 1.720 2.695
Nd 1.720 1.720 2.695
Dy 3.781 0.000 0.450
Dy 0.000 3.781 0.450
In 0.000 0.000 5.154
```

Output
* theoretical density: 7.5 g cm⁻³

Most stable: arrangement P. Least stable: arrangement Q.

Arrangement P

Density functional theory data (GGA-PBE) for an optimized crystal structure of Nd2Dy4In.

```
14
Lattice="6.511 0.000 0.000 0.000 11.926 0.000 -2.819 0.000 5.765" Properties=species:S:1:pos:R:3 pbc="T T T"
Nd 0.278 0.247 1.898
Nd -1.132 5.716 4.781
Nd 4.824 6.211 0.984
Nd 3.415 11.679 3.867
Dy -1.316 2.357 4.787
Dy 0.094 3.606 1.904
Dy 1.771 8.640 1.065
Dy 0.362 9.250 3.948
Dy 3.331 2.677 1.818
Dy 1.921 3.287 4.700
Dy 3.599 8.320 3.861
Dy 5.008 9.569 0.979
In 3.256 0.000 0.000
In 1.846 5.963 2.883
```

Output
* theoretical density: 7.8 g cm⁻³

Arrangement Q
+++
Written answer.
7